Tuesday, September 22, 2009

Boxing a Glacier: The Slow-Paced Charisma of Lon Chaney Jr.

And the winner is...the Wolfman!

The Wolfman was portrayed most famously in film by Lon Chaney Jr. as "Larry Talbot," which has got to be the best monster character name ever. I love the idea of a monster named Larry.

My exciting "Who Is Your Favorite Halloween Monster?" poll (in which I myself voted twice) was stuck in a dead heat for a few days, until I personally asked some friends to break the tie, and John Anderson heroically stepped up to the plate.

Ann had voted for Frankenstein because she finds him poignant, but John's reasoning was based on different criteria. He reasoned that the Wolfman should win for being more alive and less, well, dead, than the other three contenders, the Mummy, Frankenstein, and Dracula.

A lifelong Dracula fan, Guy valiantly argued on his behalf that vampires are technically "undead" and thus, arguably less dead than the living, who will in fact eventually die.

This argument gained no traction with John, who is nothing if not stubborn, and he boldly cast his vote for the Wolfman, thus securing a winner.

Unrelated to this text: quantum chemistry results:
-- begin --
[1]
A cluster of 2 separate species, C5H7N3O2 in total, computed with the ωB97M-V functional and the def2-TZVPD basis.

CARTESIAN COORDINATES (ANGSTROEM)
H 3.086 0.055 1.747
H -1.506 -1.157 1.000
H -2.697 -1.951 -0.068
H 0.536 -0.911 1.394
O -1.604 2.124 -0.510
N 2.866 0.935 -0.170
N 0.926 0.187 -0.575
C -1.812 -0.136 -0.678
O -1.061 0.888 1.181
H 1.937 1.501 -1.949
C -1.787 -1.479 0.034
N -1.478 1.053 -0.009
C 1.913 0.946 -1.029
H -1.028 -2.031 -0.349
H -1.962 0.053 -1.698
C 1.200 -0.298 0.703
C 2.472 0.222 0.977

Output
LUMO energy (alpha / beta): -1.375 / -2.917 eV
charge: 0
energy above the lowest of the compared OMol25 structures with the same formula, charge and spin: 194.2 kcal per mole
E_tot: -13855.767 eV

[2]
An isolated molecule of C5H7N3O2, computed with the ωB97M-V functional and the def2-TZVPD basis.

CARTESIAN COORDINATES (ANGSTROEM)
H -0.200 0.597 2.281
C 1.329 -1.035 -0.934
H 0.018 0.386 -2.041
N -1.487 -0.722 -0.216
H -2.025 1.567 0.346
H -0.468 2.452 -0.152
O -2.480 -0.507 0.460
C 0.152 0.083 1.318
H 1.128 1.158 -1.078
C 0.586 0.297 -1.092
O -1.245 -1.740 -0.824
C -0.456 0.412 0.010
N -1.096 1.615 -0.058
N 1.654 -1.474 0.256
C 1.204 -0.764 1.376
H 1.469 -1.577 -1.794
H 1.917 -0.748 2.142

Output
LUMO energy (alpha / beta): 0.292 / -2.602 eV
2S+1: 3
charge: 0
energy above the lowest of the compared OMol25 structures with the same formula, charge and spin: 101.2 kcal per mole
E_tot: -13856.170 eV

[3]
The ion C5H7N3O2P with charge -1, computed with the ωB97M-V functional and the def2-TZVPD basis.

CARTESIAN COORDINATES (ANGSTROEM)
C 1.191 -0.824 0.030
H -1.336 2.011 0.164
C 0.923 -2.179 0.305
N -0.971 -1.243 0.038
C -2.396 -1.128 -0.057
H -2.751 -1.417 -1.052
H -2.861 -1.780 0.685
C -0.063 -0.287 -0.153
N -0.572 1.949 -0.504
N -0.378 -2.426 0.312
H 0.029 3.802 0.538
H 1.620 -2.969 0.508
C 2.399 0.012 -0.055
H -2.677 -0.091 0.128
H 1.393 3.180 -0.871
O 3.534 -0.442 0.018
P 0.769 2.556 0.202
O 2.147 1.275 -0.236

Output
LUMO energy (alpha / beta): 3.651 / 2.683 eV
2S+1: 3
charge: -1
E_tot: -23149.092 eV

[4]
The ion C5H7N3O5P2 with charge -2, computed with the ωB97M-V functional and the def2-TZVPD basis.

CARTESIAN COORDINATES (ANGSTROEM)
H 3.401 -0.233 -2.390
H -2.461 -0.357 -1.509
H 1.364 -1.653 -0.993
O -0.533 -2.538 0.211
C 3.126 -0.210 -1.360
O -2.881 -1.756 0.873
C 0.556 0.090 1.260
C 1.963 -0.682 -0.821
O -1.896 -1.281 -1.489
N -1.576 1.150 0.813
P -3.224 1.492 -0.142
O -1.057 2.227 1.257
N 3.625 0.816 -0.596
H 0.698 -0.766 1.868
C -0.822 0.106 0.611
P -1.581 -1.524 0.132
O -2.852 1.234 -1.603
H 2.824 1.734 1.117
H 0.479 0.987 1.892
H -3.689 0.094 0.219
C 2.796 0.942 0.356
N 1.740 0.130 0.292

Output
LUMO energy: 5.992 eV
charge: -2
energy above the lowest of the compared OMol25 structures with the same formula, charge and spin: 0.0 kcal per mole
E_tot: -38584.996 eV

[5]
The ion C5H7N4O2 with charge +1, computed with the ωB97M-V functional and the def2-TZVPD basis.

CARTESIAN COORDINATES (ANGSTROEM)
N 1.557 -0.282 0.016
-- stop --

However, if John had recently viewed Lon Chaney's film work, he might have reconsidered his assessment of the Wolfman's "alive" quality.

You see, Lon's portrayal of Larry Talbot does not exactly convey "feral beast" so much as "community theater actor, laboriously delivering dialogue loud enough for the back row to hear." His good-faith attempts to portray intensity and emotional angst unfortunately come across more like ineffectual wheedling.

Last night, Guy and I finished watching Abbott and Costello Meet Frankenstein. It offers an interesting contrast of speech patterns: the rapid-fire banter of Lou and Bud had absolutely no effect on Lon, who continued to plod methodically through his lines at his own leisurely pace. It reminded me of what Stephen Colbert said about interviewing Jesse Jackson: "You can ask him anything, but he's going to say what he wants...at the pace that he wants. It's like boxing a glacier."

Yet in the final analysis, you really wouldn't want Lon Chaney Jr. to change a thing. His weird bad acting grows on you, and has its own endearing charm. After spending some time with Larry Talbot, you know that nobody else but Lon could ever fill those large, hairy shoes.

So congratulations, Wolfman! You'll always be a winner in my book.

[Inserted here: quantum chemistry results]
Version a
Formula: C2H11N3O2
Source: OMol25
Level of theory: wB97M-V/def2-TZVPD

Last column: Löwdin charge in e.
Element x y z (Å)
H: 1.67886 2.19726 -0.34233  0.048
N: 1.74362 1.14879 -0.54920  0.038
C: 0.86797 0.69607 -1.44070  -0.572
N: -0.08509 1.64477 -1.98376  0.072
N: 0.59499 -0.58397 -1.61391  -0.020
C: 1.27265 -1.65571 -0.77589  -0.044
H: 0.08770 2.59496 -1.69088  0.064
H: -1.02651 1.42761 -1.64800  0.074
H: -0.21256 -0.63932 -2.14727  0.095
H: 0.48287 -2.29110 -0.53506  0.029
H: 2.02337 -2.32398 -1.38515  0.109
H: 1.60706 -0.96309 0.13459  0.107
O: 1.58600 -1.49444 5.76962  -0.159
H: 1.91493 -1.23525 4.78347  0.107
H: 0.60528 -1.32846 5.57848  0.052
O: -4.22131 0.81741 -0.38325  -0.062
H: -4.21736 1.70362 -0.72912  0.018
H: -4.70248 0.28484 -1.04164  0.045

Kohn-Sham gap = 9.1 eV
2S+1 = 1
SMILES = [H]/N=C(\N)NC.O.O
LUMO energy = 0.44 eV



Version b
Formula: C2H11N3O2
Source: OMol25
Level of theory: wB97M-V/def2-TZVPD

Last column: Löwdin charge in e.
Element x y z (Å)
H: -0.22171 2.03990 -0.63762  0.051
N: -0.57486 1.21915 -0.16356  0.125
C: -0.63652 0.29701 -1.04029  -0.529
N: 0.25352 0.33363 -2.20012  0.075
N: -1.02230 -0.97229 -0.69129  -0.034
C: -1.20812 -1.18701 0.73147  -0.094
H: -0.21549 0.39026 -3.09728  0.071
H: 0.83159 -0.49449 -2.20787  0.066
H: -0.81422 -1.68550 -1.36107  0.116
H: -0.38183 -0.82449 1.34198  0.089
H: -2.03560 -0.54129 0.97947  0.039
H: -1.53657 -2.20219 0.93180  0.086
O: 5.77742 -0.03895 0.26335  -0.059
H: 5.14919 0.24893 0.93573  0.034
H: 5.36477 0.28988 -0.53550  0.025
O: -2.90142 1.34813 2.47925  -0.070
H: -3.49243 0.59544 2.55793  0.026
H: -2.33542 1.18389 1.71363  -0.017

Kohn-Sham gap = 9.7 eV
2S+1 = 1
SMILES = [H]/N=C(\N)NC.O.O
LUMO energy = 0.38 eV



It is version a that is the least stable of them.

1 comment:

**Here the text breaks off for calculated molecules**
'''
(1)
ORCA calculation (ωB97M-V/def2-TZVPD) on C8H23KO4 as an isolated structure in a non-equilibrium geometry.

```
36
Properties=species:S:1:pos:R:3:mulliken_charge:R:1
K -0.827 0.648 -0.315 0.83
C -3.888 2.078 -1.743 -0.61
C -2.775 2.798 -2.540 -0.47
O -1.661 3.188 -1.819 -0.86
H -4.575 2.706 -1.175 0.26
H -3.539 1.327 -1.035 0.00
H -4.398 1.531 -2.535 0.28
H -3.330 3.693 -2.821 0.26
H -2.416 2.382 -3.481 0.24
C 3.682 1.567 0.362 -1.16
C 2.677 1.880 1.477 0.66
O 1.538 2.437 0.848 -0.49
H 3.168 0.915 -0.344 0.25
H 4.488 0.997 0.824 0.34
H 3.993 2.460 -0.180 0.35
H 3.107 2.502 2.261 0.32
H 2.324 0.915 1.840 -0.47
H 0.799 2.318 1.448 0.25
C -0.323 -3.106 -0.731 -0.87
C -1.168 -2.695 -1.978 -0.41
O -1.342 -1.246 -2.107 -0.40
H -0.588 -4.124 -0.447 0.35
H -0.530 -2.487 0.143 0.12
H 0.758 -3.089 -0.871 0.33
H -2.175 -3.100 -1.883 0.33
H -0.853 -3.166 -2.909 0.35
H -1.868 -1.150 -2.904 0.22
C 1.691 -2.069 2.141 -0.72
C 0.774 -1.102 2.986 -0.43
O -0.002 -0.338 2.064 -0.42
H 2.336 -2.778 2.662 0.39
H 2.429 -1.410 1.683 0.15
H 1.267 -2.664 1.332 0.09
H 1.369 -0.568 3.727 0.38
H 0.065 -1.740 3.515 0.35
H -0.207 0.491 2.503 0.24
```

multiplicity	1
LUMO energy	-0.01360	Eh
E	-33181.049	eV

(2)
ORCA calculation (ωB97M-V/def2-TZVPD) on C8H23NO5Ti as an isolated structure in a non-equilibrium geometry.

```
38
Properties=species:S:1:pos:R:3:mulliken_charge:R:1
Ti 0.158 0.531 0.220 0.34
C -1.266 1.009 -2.999 -0.83
O -1.579 1.094 -1.631 -0.16
C -2.772 0.374 -1.316 -0.66
C -2.794 0.098 0.171 -0.65
N -1.764 -0.891 0.508 -0.29
C -1.622 -1.085 1.974 -0.84
C -0.337 -1.769 2.323 -0.45
O 0.756 -0.896 2.017 -0.08
C 1.988 -1.458 2.425 -0.80
H -0.352 1.575 -3.166 0.23
H -2.075 1.408 -3.620 0.32
H -1.072 -0.031 -3.305 0.33
H -2.763 -0.583 -1.858 0.39
H -3.647 0.943 -1.643 0.41
H -3.804 -0.241 0.442 0.47
H -2.574 1.020 0.712 0.32
H -2.053 -1.772 0.096 0.23
H -2.489 -1.639 2.371 0.47
H -1.722 -0.109 2.452 0.31
H -0.218 -2.708 1.769 0.36
H -0.313 -1.993 3.395 0.44
H 2.119 -2.459 1.997 0.34
H 2.037 -1.512 3.515 0.32
H 2.787 -0.828 2.045 0.18
C 2.794 -0.299 -1.626 -0.34
C 3.074 0.870 -0.719 -0.42
O 2.006 1.816 -0.707 -0.41
O 1.728 -1.088 -1.090 -0.29
H 3.707 -0.899 -1.719 0.43
H 2.534 0.058 -2.629 0.26
H 4.031 1.327 -0.993 0.46
H 3.200 0.539 0.315 0.00
H 2.173 2.558 -1.294 0.28
H 1.771 -1.954 -1.505 0.24
O -0.462 2.628 0.954 -0.40
H -0.805 2.997 1.771 0.25
H -0.375 3.369 0.346 0.26
```

multiplicity	4
total charge	+1
LUMO energy (alpha / beta)	-0.08682 / -0.09113	Eh
E	-43503.792	eV

* * * * *

Entry 1:
A molecular structure, C41H41AgN4PSe2Si. Source: the OMol25 dataset; level of theory: ωB97M-V/def2-TZVPD.

CARTESIAN COORDINATES (ANGSTROEM)
Ag (-1.0580, -0.8223, -0.9705)
Se (-3.4952, -0.2138, -0.0867)
P (-3.4330, -1.7602, 1.4589)
Se (-1.8545, -3.1821, 1.3807)
C (-3.4502, -0.9129, 3.0966)
C (-2.8401, -1.5066, 4.1975)
C (-2.8853, -0.8951, 5.4441)
C (-3.5444, 0.3146, 5.6056)
C (-4.1512, 0.9163, 4.5106)
C (-4.0964, 0.3104, 3.2644)
C (-5.0806, -2.5691, 1.4820)
'''
**End of the calculated molecules**

  1. Wow, for a second I actually thought I'd clicked on the Turner Classic Movies blog (seriously!). I was thinking--wow, I have to send this to Beebo.:)
    FUNNY post!
